Leadership in Leaving
The (Too) Often Neglected Leadership Imperative for Seasoned Nonprofit Executives
by Dr. Steven Noble
Isn’t it all about leadership? … being developed for it, being elevated to it, exerting it, modeling it, being accountable for it, identifying “best practices” in it?
Look on Amazon.com for books on “Leadership” and find 118,670 results… or search eJewish Philanthropy’s website on “leadership” and find 352 pages of citations!
There is so much fine coverage on this site about leadership in nonprofits and, especially in the Jewish world – Effective leadership to orchestrate staff, ensure requisite financial and human resources, implement missions, create new visions, strategically plan… but what about the focus on leadership in leaving?
Entry from the Materials Project database: a relaxed structure of NaSbSe2 (r2SCAN).

Summary:
Final energy in eV per atom: -15.201
Formation energy in meV per atom: -727.2

Lattice parameters (Å, degrees): 7.402 7.402 7.402 32.29 32.29 32.29
Positions (direct):
Na1 0.000 0.000 0.000
Sb1 0.500 0.500 0.500
Se1 0.245 0.245 0.245
Se2 0.755 0.755 0.755
What’s leadership in leaving? There is a superb 2012 monograph on it by The Building Movement Project which was a principal reading in the Oct 16-18, 2013 Cape Cod workshop for 20 execs in Jewish Communal Service fields. (A 2nd workshop, scheduled for May 18-21 on Cape Cod, is designed for another 20 executives; need-based scholarships are available.)
Succinctly stated, exerting and modeling leadership in leaving is imperative for long-term leaders as they assess and plan future organizational needs, continuity and sustainability and, as well, plan for their own post-agency futures. (Parenthetically – leadership in leaving is additionally essential to help ensure a robust talent pipeline of midlevel and young talent. A topic for another column – but consider how many talented #2’s “in-waiting” are lost when the #1 does not exhibit leadership in leaving?)
Why is this topic more important, now, than ever? Larry Moses spotlighted one principal reason in December 2012, “The national Jewish community appears to be on the edge of a precipice. Within the next five to ten years, the baby boomers will retire and leave upwards of 75-90% of Jewish community agencies with the challenge of finding new executive leadership.”
Although the large majority of these individuals will not actually “retire” (in the sense their parent’s generation did); they will, rather, step down and move to a new life phase, which in most cases will include 20+ more years of life. However, there is and will continue to be, as Larry Moses noted, a vast exodus (some say tsunami!), of those at the helm of Jewish organizations today. However large, a more important question than when they will step down is how will they? Will it be exemplified by proactive, well-conceived planning for their agencies and for themselves? (For a 2012 research report on data on this topic, see “Transitioning Leadership: A New Study”.)
We can applaud John Ruskay (UJAFederationNY) and his board for having the foresight to do it right and well with John’s upcoming transition (and the selection of Eric Goldstein). However, they are the largest federation with ample resources to do what’s needed for effective transitioning. But what of the literally tens of thousands smaller Jewish organizations in smaller cities with insufficient resources and where seat of pants (or pants-suit) “processes” are more the norm? We hear too often of conflictual, disruptive or blind-sided “exits”. Whose faults were these abysmal “transitional” scenarios? The responsibility is often “shared” by professionals and lay leaders, alike and is likely due to poor planning and unclear communications.
Earlier we mentioned an Oct. workshop on Cape Cod attended by twenty forward-thinking executives from nine fields (federations, family services, Hillels, senior homes, Day Schools, BJEs , advocacy groups, national agencies and JCCs.) Their average age was 62 with a range 55-67; eight were under 60. Why is the age fact noted? Very arguably, the age that one should starts to consider and plan for “what’s next” for themselves as well as for their organization is simply not at 65!
With that in mind, here are some comments from the October workshop participants:
The Head of a major Day School observed …“If we believe reflective practice is critical to success of our staff and institutions, then – kol v’khomer – as leaders of Jewish institutions, we need to take time to plan for best possible transitions out of leadership roles and consider what it means to ‘end well’.”
“This was a rare chance to focus, finally, on “me”. Although most execs are consumed with career… our lives after the “organization world” can be a stage for meaningful renewal, growth and new opportunities,” commented an Executive Director of a large synagogue.
“This was a unique space for reflection on next steps in my career – steps I would never have taken on my own. The extensive interaction with colleagues in comparable situations was invaluable for my framing key questions for myself as I begin to plan the next few years in my career.” (Federation executive)
“With all the disparate challenges involved in a founder leaving an organization, it’s easy to forget one needs to prepare oneself, as well as the organization, for transitions and next chapters.” (Founder/Executive Director)
“The workshop provided many opportunities to do focused, soul-searching and planning on the conceivably most significant transition in our professional careers… the transition to “post-chapters.” (Federation executive)
Is effective transitioning the sole task and goal of the executive? Principally yes, but as one participant with much experience training lay chairs stated, “Effective succession planning and transitioning of one’s exec is the realm not only of professionals, but of lay leadership, as well.”
Why is transitioning so difficult at this level? The multitude of reasons are quite understandable: concerns for future financial security; fear of letting go and losing identity, “I am not finished my work here,” concerns of being “lame duck” and the huge personal and philosophical concern of what else I could do as meaningful. As one participant from a national agency put it, “…I struggle with the realities of no longer having that ‘corner office’, enriching challenges and immense gratification of a career devoted to serving the Jewish community.”
In sum, institutions have entrusted their top executives to effectively lead their organizations – but part of that leadership mandate has to be better planning for enhanced organizational sustainability and continuity. Indeed this is succession planning, a highly emotive, scary process for all incumbents. But, doing it well is a hallmark of visionary leadership and leadership maturity. And, how important would it be for both the exec and her organization to genuinely concur… it “ended well!”
Dr. Steven Noble is Adjunct Prof., Leadership/Organizational Behavior, Boston University’s MBA program and Managing Director, Noble Consulting Associates, Inc. (Brookline, MA). He’s also co-facilitator of the upcoming May 18-21 Cape Cod Workshop for 20 execs. “The Next Phase: Long Careers, New Opportunities.”